What Causes Swelling

By Ben Benjamin, PhD
May 29, 2009

What Causes Swelling

By Ben Benjamin, PhD
May 29, 2009

-- Here the article breaks off for records of molecules --
+++
No. 1
C3H5HoO4 as an isolated structure, computed with the ωB97M-V functional and the def2-TZVPD basis.

Last column: Mulliken charge in e.
Atoms and positions in Å:
O1 0.240 -1.186 0.462  -0.4496
C1 -0.621 -0.750 1.306  0.8581
C2 0.513 0.061 -0.674  -0.2475
O2 -0.947 -1.312 2.362  -0.4761
O3 -0.969 0.508 1.116  -0.2787
C3 -0.641 0.956 -0.215  -0.2607
Ho1 -0.736 -3.421 3.665  0.6166
H1 0.244 -0.543 -1.550  0.3611
H2 1.478 0.394 -0.272  0.3467
H3 -1.531 0.835 -0.841  0.2554
H4 -0.349 2.007 -0.146  0.2873
O4 1.310 1.502 -2.429  -0.3625
H5 2.010 0.950 -2.784  0.3499

Output
Energy relative to the best compared isomer or geometry (same formula, charge and spin) = 124.29 kcal per mole
2S+1 = 6
Charge = +1
Electronic energy = -1365.881045 Ha
LUMO energy (spin up / spin down) = -2.8 / -5.8 eV
Orbital gap (spin up / spin down) = 6.67 / 5.05 eV

=====

No. 2
A single C3H5N3O molecule, computed with the ωB97M-V functional and the def2-TZVPD basis.

Last column: Mulliken charge in e.
Atoms and positions in Å:
C1 2.044 -0.155 -0.029  -0.8886
C2 0.553 -0.284 -0.056  0.6869
C3 -2.026 -0.209 0.057  0.0269
H1 2.313 0.260 0.984  0.2664
H2 2.488 -1.167 -0.159  0.2923
H3 2.371 0.579 -0.780  0.2585
H4 -3.117 -0.078 0.172  0.3576
H5 -1.717 1.867 -0.021  0.3076
N1 -0.115 -1.362 -0.197  -0.3192
N2 -1.479 -1.353 0.129  -0.4147
N3 -1.305 0.966 -0.345  -0.3284
O1 -0.009 0.937 0.243  -0.2454

Output
Energy relative to the best compared isomer or geometry (same formula, charge and spin) = 92.07 kcal per mole
Charge = 0
Electronic energy = -356.710645 Ha
LUMO energy = 0.8 eV
SMILES = CC1=NN=CNO1
Orbital gap = 9.72 eV

=====

No. 3
A single C17H22N4O3S3 molecule, computed with the ωB97M-V functional and the def2-TZVPD basis.

Last column: Mulliken charge in e.
Atoms and positions in Å:
C1 -1.501 -3.454 4.436  -1.0518
H1 -1.373 -2.632 5.136  0.2684
H2 -2.561 -3.557 4.218  0.2684
H3 -1.155 -4.370 4.907  0.4311
C2 -0.709 -3.194 3.155  -0.6833
N1 -1.124 -1.969 2.506  0.2572
C3 -0.577 -0.754 2.735  0.5748
O1 -1.102 0.280 2.375  -0.6321
C4 0.771 -0.727 3.454  -0.8148
H4 1.437 -1.517 3.115  0.3670
H5 0.651 -0.761 4.536  0.4055
S1 1.590 0.852 3.079  -0.1853
C5 1.608 0.673 1.361  0.5270
N2 1.252 -0.393 0.735  0.0839
N3 1.315 -0.287 -0.588  -0.9635
C6 1.729 0.868 -1.009  0.3953
N4 1.903 1.102 -2.324  -0.1800
C7 2.269 2.260 -3.009  0.8708
C8 2.114 3.527 -2.458  -0.6187
C9 2.480 4.652 -3.174  -0.8806
C10 2.995 4.524 -4.451  -0.6403
C11 3.137 3.263 -5.007  -0.6323
C12 2.782 2.121 -4.308  1.0096
C13 2.951 0.766 -4.932  -1.5793
H6 3.440 0.858 -5.898  0.3833
H7 1.985 0.283 -5.090  0.3709
H8 3.562 0.118 -4.303  0.3678
H9 3.536 3.163 -6.006  0.3216
H10 3.282 5.398 -5.014  0.3795
H11 2.354 5.627 -2.731  0.3899
H12 1.691 3.642 -1.474  0.3913
H13 1.773 0.273 -2.889  0.2599
S2 2.095 1.995 0.306  -0.2291
C14 -2.329 -2.044 1.675  -0.3343
C15 -3.530 -1.332 2.287  -0.9042
H14 -4.199 -1.991 2.829  0.5345
H15 -3.240 -0.484 2.897  0.3880
S3 -4.380 -0.628 0.838  1.0510
O2 -5.163 0.522 1.190  -0.6801
+++

Question: True or false: Visible swelling occurs when tendons and ligaments are injured.

## The article is interrupted by quantum chemistry results
+++
Entry 1:
+++

Answer: False

Although there is a bit of internal swelling with tendinitis, major or visible swelling does not occur when most tendons are injured. The only exception is severe injury to the posterior tibialis tendon. Ligaments, on the other hand, cause an enormous amount of swelling within the joints they stabilize. This distinction between tendon and ligament injury provides the practitioner with a useful method for differentiating tendon and ligament injuries.

Swelling occurs when ligaments are injured because the ligaments are intimately connected with the functioning of the joints. Ligaments hold our joints together, helping to maintain the structural integrity of the skeletal system. When a ligament is strained, the synovial membrane of the joint where the ligament is located is "told" by the brain to produce more fluid than is required for proper functioning. This increase in synovial fluid causes the joint to swell. This swelling is our body's way of sending us a strong and important message. The body is saying, "Don't move me too quickly or too vigorously, or I will send pain signals to remind you that I need to rest in order to heal."

Therefore, when you see a client who has a swollen ankle, knee, wrist or finger, it's not a tendon-related problem. These symptoms usually mean the joint and its surrounding ligaments are injured. Besides sending a message to the injured person, the swelling is also sends a message to the practitioner. It tells you where to look for the injury.

For instance, when the medial collateral ligament at the inner portion of the knee is sprained, a message is sent to the joint's membrane to produce fluid, causing the joint to swell. This swelling limits the knee joint's ability to bear weight, flex and extend. The body therefore is forced to rest to allow healing to occur.

Misplaced records of molecules
Computed, not measured: 8 unconnected molecules or ions with the total composition C50H46BFNO30, with ωB97M-V/def2-TZVPD.

```
129
Properties=species:S:1:pos:R:3:mulliken_charge:R:1
F -5.02 -4.30 -5.17 -0.21
O 2.35 -1.95 5.40 -0.63
O -6.74 -4.38 6.37 -0.58
O 7.23 1.77 -5.30 -0.53
O -3.86 4.82 5.22 -0.57
O 3.51 1.84 5.43 -0.55
O -5.56 -4.07 1.21 -0.56
O 12.96 -1.67 -3.09 -0.56
O 2.66 1.80 -4.20 -0.50
O 7.83 0.29 -2.24 -0.48
O 2.68 -1.73 -3.54 -0.61
O 0.67 2.16 -0.11 -0.46
O -1.58 4.37 1.14 -0.60
O 2.45 4.49 -4.49 -0.59
O 5.09 6.89 5.28 -0.60
O 4.73 2.71 3.16 -0.60
O 11.66 -0.15 -4.93 -0.60
O 3.95 6.00 7.58 -0.57
O 9.17 -1.16 -0.37 -0.62
O -6.61 -6.53 -1.62 -0.50
O -3.77 5.03 -0.33 -0.58
O 3.99 -0.96 -1.28 -0.69
O -0.78 1.67 3.13 -0.52
O -4.89 -7.62 -2.99 -0.48
O 1.76 1.46 2.22 -0.40
O -0.23 -1.80 6.26 -0.58
O 7.04 4.47 -5.51 -0.60
O -6.80 -1.93 5.21 -0.56
O -5.59 -6.54 2.35 -0.58
O -0.68 1.32 -2.31 -0.74
O -6.07 5.39 3.75 -0.61
N -5.97 -4.32 -4.17 0.90
C 0.40 0.79 -2.10 1.44
C -6.48 -4.34 5.18 0.87
C 4.75 5.72 5.30 0.93
C -4.21 -1.58 -0.69 -1.03
C 4.74 4.56 -5.02 -0.92
C -2.60 4.62 1.76 1.03
C 0.22 -0.97 5.28 0.31
C -6.19 -2.93 3.18 -0.92
C 2.93 -0.41 -1.51 1.07
C 1.33 0.65 3.22 0.18
C 11.72 -1.20 -2.83 0.35
C 1.20 1.19 -0.91 0.09
C -5.05 5.18 3.13 0.88
C 11.10 -1.47 -1.68 -0.99
C -5.10 -2.21 -3.12 -0.79
C 4.11 5.16 6.53 0.37
C -6.17 -5.54 4.39 -0.80
C -3.82 -1.79 -2.23 0.65
C 9.09 -0.16 -2.49 0.14
C -3.84 4.98 1.02 0.32
C 11.06 -0.38 -3.89 1.00
C 3.88 3.00 5.43 0.98
C -6.49 -3.02 4.47 0.35
C -3.79 4.85 3.87 0.43
C -3.26 -0.35 -2.74 -1.25
C 6.01 3.88 -5.23 0.97
C 2.15 -0.79 -2.72 0.26
C -5.88 -5.44 3.10 0.19
C 3.64 3.87 -4.69 0.28
C 6.04 2.39 -5.08 0.24
C 2.37 0.63 -0.63 -0.95
C -0.58 -0.06 4.72 -1.11
C 9.75 -0.95 -1.42 0.86
C 4.95 4.83 4.16 -0.79
C 1.64 -1.12 4.85 0.95
C -0.08 0.82 3.66 0.93
C 0.97 -0.22 -2.99 -1.03
C 9.71 0.11 -3.64 -0.75
C -8.20 -3.08 -3.92 -0.76
C 3.68 2.39 -4.52 0.98
C -7.10 -3.46 -4.70 -0.20
C 4.95 1.70 -4.75 -0.90
C -4.98 5.23 1.66 -0.86
C -5.86 -4.12 2.40 0.97
C -5.37 -3.80 -2.90 -0.87
C 2.13 -0.26 3.78 -0.59
C -6.50 -5.73 -4.11 -0.41
C 3.70 3.89 6.58 -1.02
C 4.55 3.56 4.21 0.33
C -2.65 4.59 3.23 -0.96
B -5.94 -6.66 -2.91 0.57
H 13.18 -1.35 -3.98 0.35
H 7.61 -0.03 -1.34 0.32
H -7.65 -5.78 -4.13 0.26
H -8.74 -2.11 -4.18 0.32
H 11.57 -2.06 -0.90 0.41
H 5.43 5.24 3.28 0.44
H -4.32 -4.22 -2.69 0.50
H -6.18 -6.23 -5.10 0.25
H -8.57 -3.63 -3.00 0.25
H -4.10 0.21 -3.26 0.33
H -4.79 5.04 5.44 0.35
H -6.97 -2.26 6.11 0.35
H 4.32 6.85 7.29 0.35
H -6.05 -3.85 -2.00 0.34
H -3.24 -1.51 -0.07 0.38
H -4.82 -1.95 -4.19 0.44
H 4.96 0.63 -4.64 0.49
H -1.74 4.34 3.75 0.41
H 0.54 -2.35 6.50 0.35
H 3.16 -0.39 3.46 0.47
H -5.89 5.49 1.14 0.43
H 2.96 0.91 0.24 0.65
H 3.24 3.47 7.46 0.44
H -7.48 -7.00 -1.68 0.28
H 4.35 1.86 3.45 0.27
H -5.42 -6.21 1.45 0.29
H -4.80 -2.46 -0.25 0.05
H 0.39 -0.49 -3.87 0.46
H 3.53 -1.98 -3.12 0.34
H 1.00 2.02 1.98 0.08
H 1.82 3.78 -4.26 0.31
H -6.19 -6.49 4.91 0.43
H -2.85 0.21 -1.85 0.29
H 9.24 0.69 -4.42 0.57

Sometimes this system works; the knee heals with minimal scar tissue, and full function is restored. Unfortunately, this healing cycle often breaks down. When this happens, the body lays down disorganized and malformed scar tissue, binding inappropriate tissues together so that healing is impaired for a long time, or permanently. However, if appropriate hands-on or medical treatment is correctly applied, the excessive adhesive scar tissue is eliminated in the ligament, and the swelling, usually referred to as a traumatic arthritis, disappears by itself.